On today’s Barrack-Ast: Stories are constantly fighting for time in the 24-hour news cycle. The Obama administration has proven quite adept at determining what stories dominate. If you see a story in any mainstream media outlet involving the administration, odds are beyond very good the administration wanted it there, even if it seems unflattering. That’s […]
• These calculated crystals were left in the entry by mistake:
____________
Record 1
# Li5V3P8O29

A relaxed Li5V3P8O29 crystal (PBE with a Hubbard U, the Materials Project).

Lattice parameters (Å, degrees): 9.721 9.757 14.093 89.56 89.70 60.39
Fractional positions:
Li 0.000 0.000 0.000
Li 0.003 0.129 0.496
Li 0.235 0.231 0.374
Li 0.239 0.670 0.881
Li 0.317 0.977 0.950
Li 0.360 0.849 0.431
Li 0.433 0.560 0.495
Li 0.569 0.989 0.493
Li 0.572 0.564 0.999
Li 0.663 0.806 0.880
V 0.334 0.463 0.690
V 0.337 0.330 0.182
V 0.769 0.900 0.682
V 0.771 0.463 0.190
V 0.900 0.897 0.189
V 0.901 0.332 0.689
P 0.006 0.561 0.305
P 0.021 0.123 0.281
P 0.021 0.985 0.781
P 0.113 0.206 0.098
P 0.117 0.812 0.598
P 0.247 0.674 0.096
P 0.248 0.212 0.593
P 0.420 0.119 0.776
P 0.422 0.585 0.278
P 0.556 0.985 0.279
P 0.564 0.583 0.782
P 0.640 0.675 0.597
P 0.645 0.812 0.095
P 0.668 0.235 0.568
P 0.670 0.234 0.068
P 0.995 0.570 0.805
O 0.007 0.706 0.260
O 0.077 0.236 0.597
O 0.080 0.819 0.096
O 0.102 0.124 0.371
O 0.103 0.908 0.872
O 0.126 0.100 0.018
O 0.133 0.903 0.517
O 0.136 0.106 0.195
O 0.139 0.885 0.696
O 0.145 0.576 0.768
O 0.151 0.406 0.267
O 0.241 0.521 0.109
O 0.243 0.369 0.610
O 0.249 0.243 0.098
O 0.253 0.639 0.599
O 0.330 0.129 0.503
O 0.333 0.697 0.188
O 0.336 0.105 0.859
O 0.337 0.672 0.008
O 0.342 0.097 0.680
O 0.353 0.671 0.369
O 0.412 0.154 0.273
O 0.415 0.280 0.766
O 0.416 0.433 0.267
O 0.417 0.562 0.780
O 0.523 0.387 0.609
O 0.527 0.226 0.114
O 0.531 0.689 0.518
O 0.537 0.895 0.187
O 0.543 0.909 0.369
O 0.544 0.699 0.696
O 0.556 0.886 0.005
O 0.574 0.659 0.872
O 0.594 0.982 0.772
O 0.595 0.554 0.269
O 0.656 0.088 0.605
O 0.662 0.387 0.112
O 0.666 0.249 0.963
O 0.673 0.815 0.594
O 0.676 0.237 0.462
O 0.678 0.638 0.099
O 0.711 0.988 0.266
O 0.716 0.423 0.763
O 0.794 0.515 0.606
O 0.799 0.817 0.107
O 0.824 0.222 0.612
O 0.825 0.087 0.105
O 0.844 0.713 0.762
O 0.858 0.559 0.255
O 0.863 0.280 0.265
O 0.865 0.987 0.765
O 0.950 0.357 0.106
O 0.955 0.818 0.606
O 0.988 0.568 0.910
O 0.992 0.983 0.274
O 0.996 0.155 0.770
O 0.996 0.556 0.410
O 0.999 0.421 0.755

## Properties
Its energy above the lowest structure with this stoichiometry is 0.003 eV per atom. The calculation puts the total energy at -316.351 eV per formula unit. The calculation puts the calculated volume at 12.9 Å³ per atom. The space group is P1. The value obtained for the calculated density is 2.57 g/cm3.

Record 2
# LiVP2O7

A relaxed LiVP2O7 crystal (PBE with a Hubbard U, the Materials Project).

Lattice parameters (Å, degrees): 6.352 6.476 6.861 85.59 67.02 81.99
Fractional positions:
Li 0.209 0.002 0.332
Li 0.791 0.998 0.668
V 0.407 0.356 0.713
V 0.593 0.644 0.287
P 0.156 0.610 0.142
P 0.285 0.869 0.731
P 0.715 0.131 0.269
P 0.844 0.390 0.858
O 0.094 0.405 0.716
O 0.110 0.951 0.640
O 0.147 0.790 0.968
O 0.279 0.409 0.023
O 0.284 0.689 0.264
O 0.437 0.029 0.744
O 0.444 0.670 0.612
O 0.556 0.330 0.388
O 0.563 0.971 0.256
O 0.716 0.311 0.736
O 0.721 0.591 0.977
O 0.853 0.210 0.032
O 0.890 0.049 0.360
O 0.906 0.595 0.284

## Properties
____________
Tag Archives | Michael Brown
Muslim Arrested for Threatening Darren Wilson on Facebook
Unrelated to this piece: records of crystals =
=====
# 1
# NdSm3 | the Materials Project database | r2SCAN | relaxed
# **ΔE_f**: 2.7 kJ per mole of atoms
# **Energy**: -118.51 eV per formula unit
# **ΔE to the lowest computed polymorph**: 0.09 kcal/mol of atoms
# **Total moment**: 0.00 μB per formula unit
data_NdSm3
_chemical_formula_sum 'Nd1 Sm3'
_cell_length_a 5.1516
_cell_length_b 5.1516
_cell_length_c 5.1516
_cell_angle_alpha 90.00
_cell_angle_beta 90.00
_cell_angle_gamma 90.00
_space_group_name_H-M_alt 'P m -3 m'
_space_group_IT_number 221
_space_group_name_Hall '-P 4 2 3'
loop_
_atom_site_label
_atom_site_type_symbol
_atom_site_fract_x
_atom_site_fract_y
_atom_site_fract_z
Nd1 Nd 0.0000 0.0000 0.0000
Sm1 Sm 0.0000 0.5000 0.5000

---

# 2
# YbInAu | the Materials Project database | r2SCAN | relaxed
# **ΔE_f**: -81.9 kJ per mole of atoms
# **Energy**: -112.24 eV per formula unit
# **Total moment**: 0.00 μB per formula unit
data_YbInAu
_chemical_formula_sum 'Yb3 In3 Au3'
_cell_length_a 7.5901
_cell_length_b 7.5901
_cell_length_c 3.9609
_cell_angle_alpha 90.00
_cell_angle_beta 90.00
_cell_angle_gamma 120.00
_space_group_name_H-M_alt 'P -6 2 m'
_space_group_IT_number 189
_space_group_name_Hall 'P -6 -2'
loop_
_atom_site_label
_atom_site_type_symbol
_atom_site_fract_x
_atom_site_fract_y
_atom_site_fract_z
Yb1 Yb 0.0000 0.5958 0.0000
In1 In 0.0000 0.2613 0.5000
Au1 Au 0.0000 0.0000 0.0000
Au2 Au 0.3333 0.6667 0.5000

=====

## Hf2Ni7 (GGA-PBE)

Data for a geometry-optimized Hf2Ni7 structure.

Calculated values
Theoretical density in g/cm3: 11.166
E_form in eV per atom: -0.4639

The structure in POSCAR format:
```
Hf2Ni7
1.0
4.0878 2.3259 0.0000
-4.0878 2.3259 0.0000
0.0000 1.7363 6.0050
Ni Hf
7 2
Direct
0.4628 0.7927 0.1552
0.5000 0.5000 0.5000
0.2073 0.5372 0.8448
0.5000 0.0000 0.5000
0.7927 0.4628 0.1552
0.0000 0.5000 0.5000
0.5372 0.2073 0.8448
0.1059 0.1059 0.2293
0.8941 0.8941 0.7707
```

## Sm2CrFe16 (GGA-PBE)

Data for a geometry-optimized Sm2CrFe16 structure.

Calculated values
Theoretical density in g/cm3: 7.933
E_form in eV per atom: 0.0256

The structure in POSCAR format:
```
Sm2CrFe16
1.0
-4.7787 0.6118 -4.2725
-2.9400 -5.5937 1.2376
-4.4509 2.2821 4.0554
Fe Sm Cr
16 2 1
Direct
0.9996 0.7041 0.2944
0.8445 0.3407 0.3407
0.6590 0.6590 0.1560
0.0011 0.0011 0.4984
0.1560 0.6590 0.6590
0.9073 0.9073 0.9073
0.2944 0.7041 0.9996
0.0011 0.4984 0.0011
0.9996 0.2944 0.7041
0.3407 0.8445 0.3407
0.3407 0.3407 0.8445
0.7041 0.9996 0.2944
0.2944 0.9996 0.7041
0.7041 0.2944 0.9996
0.6590 0.1560 0.6590
0.4984 0.0011 0.0011
0.6583 0.6583 0.6583
0.3459 0.3459 0.3459
0.0916 0.0916 0.0916
```

## Bi (GGA-PBE)

Data for a geometry-optimized Bi structure.

Calculated values
Theoretical density in g/cm3: 9.758
Excess energy over the best structure of this formula in the dataset in eV per atom: 0.099
E_form in eV per atom: 0.0990

The structure in POSCAR format:
```
Bi
1.0
-0.2942 -2.7268 1.5988
2.6770 0.8904 2.0111
-4.0611 2.8642 4.1378
Bi
2
Direct
0.1028 0.0000 0.2500
0.8972 0.0000 0.7500
```
=====
In a report from the Seattle Times, Jaleel Tariq Abdul-Jabbaar as a black man – through his quotes only, not the reporting – who took to Facebook to issue threats to kill ex-Ferguson police officer Darren Wilson. What is not made known in the article is that Abdul-Jabbaar is a Muslim: Federal prosecutors have charged […]
Muslim Ferguson Agitator Displays Arrogance and Belligerence During TV Interview
Bassem Masri is an arab Muslim who has been arrested on more than one occasion in Ferguson. As Shoebat.com has reported, he is doing his part to foment unrest in the area and was recently interviewed by Michael Smerconish. In the exchange below, it’s clear what kind of person the police are having to deal […]
Trouble Continues Finding Muslim State Senator
Missouri State Senator Jamillah Nasheed who is also a Muslim, has become one of the prominent faces in support of the Ferguson protesters as Shoebat.com has reported. It’s now being reported that she was recently the victim of an attempted robbery and carjacking in her own driveway and that she had a gun put to […]

Democrat Muslim State Senator Arrested
Missouri State Senator Jamilah Nasheed, a Muslim who once refused to sign onto a bill that would ban the use of sharia law as Shoebat.com reported, was arrested for not getting out of the street in front of the Ferguson Police Department while protesting the death of Michael Brown in Ferguson last August. Presumably, Nasheed’s […]
Ferguson Man would Rather get Beheaded than be told by Police to Stop Walking in Traffic
_Someone pasted materials data at this point_
+++
The following is a r2SCAN calculation of a geometry-optimized YB4Mo structure, from the Materials Project.

## Properties
Calculated total energy (eV/atom): -13.300
Space-group type: Pbam, No. 55
ΔE_f (kcal/mol of atoms): -15.48

Cell: 6.0276 11.6419 3.6233 Å, 90.00 90.00 90.00°
Last column: nearest neighbours and their distance in Å.
Fractional coordinates of all 24 atoms:
1 Y 0.1273 0.1496 0.0000  14 B 2.67-2.82
2 Y 0.3727 0.6496 0.0000  14 B 2.67-2.82
3 Y 0.6273 0.3504 0.0000  14 B 2.67-2.82
4 Y 0.8727 0.8504 0.0000  14 B 2.67-2.82
5 B 0.0237 0.6932 0.5000  3 B 1.78-1.87
6 B 0.1137 0.5473 0.5000  3 B 1.76-1.78
7 B 0.1338 0.9681 0.5000  3 B 1.78-1.86
8 B 0.2137 0.8141 0.5000  3 B 1.81-1.87
9 B 0.2863 0.3141 0.5000  3 B 1.81-1.87
10 B 0.3662 0.4681 0.5000  3 B 1.78-1.86
11 B 0.3863 0.0473 0.5000  3 B 1.76-1.78
12 B 0.4763 0.1932 0.5000  3 B 1.78-1.87
13 B 0.5237 0.8068 0.5000  3 B 1.78-1.87
14 B 0.6137 0.9527 0.5000  3 B 1.76-1.78
15 B 0.6338 0.5319 0.5000  3 B 1.78-1.86
16 B 0.7137 0.6859 0.5000  3 B 1.81-1.87
17 B 0.7863 0.1859 0.5000  3 B 1.81-1.87
18 B 0.8662 0.0319 0.5000  3 B 1.78-1.86
19 B 0.8863 0.4527 0.5000  3 B 1.76-1.78
20 B 0.9763 0.3068 0.5000  3 B 1.78-1.87
21 Mo 0.1288 0.4170 0.0000  10 B 2.36-2.40, 1 Mo 2.48
22 Mo 0.3712 0.9170 0.0000  10 B 2.36-2.40, 1 Mo 2.48
23 Mo 0.6288 0.0830 0.0000  10 B 2.36-2.40, 1 Mo 2.48
24 Mo 0.8712 0.5830 0.0000  10 B 2.36-2.40, 1 Mo 2.48

***

The following is a r2SCAN calculation of a geometry-optimized Zr3Al2 structure, from the Materials Project.

## Properties
Calculated total energy (eV/atom): -16.793
Space-group type: P4_2/mnm, No. 136
ΔE_f (kcal/mol of atoms): -10.39

Cell: 7.6536 7.6536 6.9833 Å, 90.00 90.00 90.00°
Last column: nearest neighbours and their distance in Å.
Fractional coordinates of all 20 atoms:
1 Zr 0.0000 0.5000 0.2500  4 Al 3.06, 8 Zr 3.27-3.37
2 Zr 0.0000 0.5000 0.7500  4 Al 3.06, 8 Zr 3.27-3.37
3 Zr 0.1586 0.1586 0.0000  6 Al 2.82-2.93
4 Zr 0.1972 0.1972 0.5000  6 Al 2.80-2.92
5 Zr 0.3028 0.6972 0.0000  6 Al 2.80-2.92
6 Zr 0.3414 0.6586 0.5000  6 Al 2.82-2.93
7 Zr 0.5000 0.0000 0.2500  4 Al 3.06, 8 Zr 3.27-3.37
8 Zr 0.5000 0.0000 0.7500  4 Al 3.06, 8 Zr 3.27-3.37
9 Zr 0.6586 0.3414 0.5000  6 Al 2.82-2.93
10 Zr 0.6972 0.3028 0.0000  6 Al 2.80-2.92
11 Zr 0.8028 0.8028 0.5000  6 Al 2.80-2.92
12 Zr 0.8414 0.8414 0.0000  6 Al 2.82-2.93
13 Al 0.1208 0.8792 0.2842  1 Al 2.61, 4 Zr 2.80-2.92
14 Al 0.1208 0.8792 0.7158  1 Al 2.61, 4 Zr 2.80-2.92
15 Al 0.3792 0.3792 0.2158  1 Al 2.61, 4 Zr 2.80-2.92
16 Al 0.3792 0.3792 0.7842  1 Al 2.61, 4 Zr 2.80-2.92
17 Al 0.6208 0.6208 0.2158  1 Al 2.61, 4 Zr 2.80-2.92
18 Al 0.6208 0.6208 0.7842  1 Al 2.61, 4 Zr 2.80-2.92
19 Al 0.8792 0.1208 0.2842  1 Al 2.61, 4 Zr 2.80-2.92
20 Al 0.8792 0.1208 0.7158  1 Al 2.61, 4 Zr 2.80-2.92

***

The following is a r2SCAN calculation of a geometry-optimized Er2Ga9Co3 structure, from the Materials Project.

## Properties
Calculated total energy (eV/atom): -15.507
Space-group type: Cmcm, No. 63
+++
File this one under People with Firewalls behind their Foreheads and who can’t structure a sentence… There are actually people walking around in Ferguson wearing t-shirts that say they would rather be stopped by ISIS than by the Ferguson Police. Would love to know if this guy’s willing to trade places with one of the […]
Leader of Muslim Civil Rights Group Disgracefully Exploits Michael Brown Funeral in Ferguson
Why did CAIR Executive Director Nihad Awad attend the funeral of Michael Brown, who was shot in Ferguson earlier this month? To say Awad had ulterior motives would be an understatement. Muslim Brotherhood operatives have been exploiting race and the civil rights movement to their advantage for decades. If Awad were truly concerned about healing […]
Muslim State Senator in Missouri wants Prosecutor who served on ‘Barack Obama Truth Squad’ Off Michael Brown Case
The St. Louis County Attorney at the heart of the latest subtext controversy relative to the Ferguson riots once promoted the Barack Obama Truth Squad. Today, demands from the black community that Robert McCulloch be removed from any case involving the prosecution of Police officer Darren Wilson for the shooting death of Michael Brown, are […]
CNN Ignores ISIS Sign on Streets of Ferguson
While reporting on the protests / riots in Ferguson, MO CNN’s Jake Tapper spent two minutes on camera walking and talking with one of those protesters. As Tapper was speaking with a black man who had some controversial language on his clothing, he entirely missed a much bigger story. Walking directly behind Tapper was someone […]